Work order =
What is needed: give back the data below from the first line to the one with "Fe4CoSiB2 with" without altering anything.

Material =
<<<
This entry pairs a crystal structure of ErCo2B4Rh2 with its simulated X-ray powder pattern. Radiation: Cu Kα. Structure: a structure optimized by DFT (GGA-PBE).
Intensities are scaled so that the largest is 1000.

```
ErCo2B4Rh2
1.0
5.2008 0.0000 0.0000
0.0000 5.2008 0.0000
0.0000 0.0000 7.1986
Er Co B Rh
2 4 8 4
Direct
0.0000 0.5000 0.0000
0.5000 0.0000 0.5000
0.0000 0.2518 0.3509
0.0000 0.7482 0.3509
0.2518 0.0000 0.8509
0.7482 0.0000 0.8509
0.0000 0.1642 0.6489
0.0000 0.8358 0.6489
0.1642 0.0000 0.1489
0.3165 0.5000 0.3376
0.5000 0.3165 0.8376
0.5000 0.6835 0.8376
0.6835 0.5000 0.3376
0.8358 0.0000 0.1489
0.2477 0.5000 0.6343
0.5000 0.2477 0.1343
0.5000 0.7523 0.1343
0.7523 0.5000 0.6343
```

Most intense lines, 10 to 90 degrees two-theta, in order of rising 2θ:
| d (Å) | Rel. int. |
| --- | --- |
| 3.678 | 289 |
| 2.960 | 281 |
| 2.600 | 149 |
| 2.572 | 282 |
| 2.446 | 516 |
| 2.213 | 1000 |
| 2.179 | 631 |
| 1.953 | 232 |
| 1.637 | 154 |
| 1.414 | 226 |
| 1.405 | 161 |
| 1.286 | 248 |

---

This entry pairs a crystal structure of FeCo2B with its simulated X-ray powder pattern. Radiation: Cu Kα. Structure: a structure optimized by DFT (GGA-PBE).
Intensities are scaled so that the largest is 1000.

```
FeCo2B
1.0
5.2028 0.0000 0.0000
0.0000 6.5716 0.0000
0.0000 0.0000 4.3524
Fe Co B
4 8 4
Direct
0.0282 0.2500 0.1306
0.4718 0.7500 0.6306
0.5282 0.2500 0.3694
0.9718 0.7500 0.8694
0.1859 0.0599 0.6472
0.1859 0.4401 0.6472
0.3141 0.5599 0.1472
0.3141 0.9401 0.1472
0.6859 0.0599 0.8528
0.6859 0.4401 0.8528
0.8141 0.5599 0.3528
0.8141 0.9401 0.3528
0.1168 0.7500 0.4291
0.3832 0.2500 0.9291
0.6168 0.7500 0.0709
0.8832 0.2500 0.5709
```

Most intense lines, 10 to 90 degrees two-theta, in order of rising 2θ:
| d (Å) | Rel. int. |
| --- | --- |
| 2.342 | 655 |
| 2.233 | 259 |
| 2.114 | 654 |
| 2.040 | 962 |
| 2.008 | 878 |
| 1.957 | 1000 |
| 1.920 | 699 |
| 1.847 | 483 |
| 1.831 | 515 |
| 1.713 | 408 |
| 1.611 | 354 |
| 1.153 | 402 |

---

This entry pairs a crystal structure of FeCoB2 with its simulated X-ray powder pattern. Radiation: Cu Kα. Structure: a structure optimized by DFT (GGA-PBE).
Intensities are scaled so that the largest is 1000.

```
FeCoB2
1.0
3.0097 0.0000 0.0000
0.0000 3.9594 0.0000
0.0000 0.0000 5.2801
Fe Co B
2 2 4
Direct
0.0000 0.1224 0.0000
0.0000 0.8776 0.5000
0.5000 0.3717 0.3557
0.5000 0.6283 0.8557
0.0000 0.3764 0.6428
0.0000 0.6236 0.1428
0.5000 0.1346 0.7122
0.5000 0.8654 0.2122
```

Most intense lines, 10 to 90 degrees two-theta, in order of rising 2θ:
| d (Å) | Rel. int. |
| --- | --- |
| 2.640 | 285 |
| 2.396 | 664 |
| 2.197 | 360 |
| 2.182 | 1000 |
| 1.985 | 678 |
| 1.854 | 654 |
| 1.774 | 338 |
| 1.608 | 268 |
| 1.578 | 262 |
| 1.505 | 226 |
| 1.205 | 255 |
| 1.168 | 252 |

---

This entry pairs a crystal structure of Fe4CoB2P with its simulated X-ray powder pattern. Radiation: Cu Kα. Structure: a structure optimized by DFT (GGA-PBE).
Intensities are scaled so that the largest is 1000.

```
Fe4CoB2P
1.0
-2.6758 2.6758 5.2321
2.6758 -2.6758 5.2321
2.6758 2.6758 -5.2321
Fe Co B P
8 2 4 2
Direct
0.0285 0.5285 0.8377
0.1908 0.0285 0.5000
0.3092 0.8092 0.8377
0.4715 0.3092 0.5000
0.5285 0.6908 0.5000
0.6908 0.1908 0.1623
0.8092 0.9715 0.5000
0.9715 0.4715 0.1623
0.0000 0.0000 0.0000
0.5000 0.5000 0.0000
0.1213 0.3787 0.5000
0.3787 0.8787 0.2575
0.6213 0.1213 0.7425
0.8787 0.6213 0.5000
0.2500 0.2500 0.0000
0.7500 0.7500 0.0000
```

Most intense lines, 10 to 90 degrees two-theta, in order of rising 2θ:
| d (Å) | Rel. int. |
| --- | --- |
| 2.616 | 134 |
| 2.382 | 107 |
| 2.333 | 644 |
| 2.152 | 458 |
| 1.973 | 1000 |
| 1.892 | 198 |
| 1.871 | 666 |
| 1.692 | 501 |
| 1.288 | 111 |
| 1.268 | 206 |
| 1.216 | 169 |
| 1.136 | 248 |

---

This entry pairs a crystal structure of Fe4CoSiB2 with its simulated X-ray powder pattern. Radiation: Cu Kα. Structure: a structure optimized by DFT (GGA-PBE).
Intensities are scaled so that the largest is 1000.

```
Fe4CoSiB2
1.0
-2.7377 2.7377 5.1450
2.7377 -2.7377 5.1450
>>>

Response =
This entry pairs a crystal structure of ErCo2B4Rh2 with its simulated X-ray powder pattern. Radiation: Cu Kα. Structure: a structure optimized by DFT (GGA-PBE).
Intensities are scaled so that the largest is 1000.

```
ErCo2B4Rh2
1.0
5.2008 0.0000 0.0000
0.0000 5.2008 0.0000
0.0000 0.0000 7.1986
Er Co B Rh
2 4 8 4
Direct
0.0000 0.5000 0.0000
0.5000 0.0000 0.5000
0.0000 0.2518 0.3509
0.0000 0.7482 0.3509
0.2518 0.0000 0.8509
0.7482 0.0000 0.8509
0.0000 0.1642 0.6489
0.0000 0.8358 0.6489
0.1642 0.0000 0.1489
0.3165 0.5000 0.3376
0.5000 0.3165 0.8376
0.5000 0.6835 0.8376
0.6835 0.5000 0.3376
0.8358 0.0000 0.1489
0.2477 0.5000 0.6343
0.5000 0.2477 0.1343
0.5000 0.7523 0.1343
0.7523 0.5000 0.6343
```

Most intense lines, 10 to 90 degrees two-theta, in order of rising 2θ:
| d (Å) | Rel. int. |
| --- | --- |
| 3.678 | 289 |
| 2.960 | 281 |
| 2.600 | 149 |
| 2.572 | 282 |
| 2.446 | 516 |
| 2.213 | 1000 |
| 2.179 | 631 |
| 1.953 | 232 |
| 1.637 | 154 |
| 1.414 | 226 |
| 1.405 | 161 |
| 1.286 | 248 |

---

This entry pairs a crystal structure of FeCo2B with its simulated X-ray powder pattern. Radiation: Cu Kα. Structure: a structure optimized by DFT (GGA-PBE).
Intensities are scaled so that the largest is 1000.

```
FeCo2B
1.0
5.2028 0.0000 0.0000
0.0000 6.5716 0.0000
0.0000 0.0000 4.3524
Fe Co B
4 8 4
Direct
0.0282 0.2500 0.1306
0.4718 0.7500 0.6306
0.5282 0.2500 0.3694
0.9718 0.7500 0.8694
0.1859 0.0599 0.6472
0.1859 0.4401 0.6472
0.3141 0.5599 0.1472
0.3141 0.9401 0.1472
0.6859 0.0599 0.8528
0.6859 0.4401 0.8528
0.8141 0.5599 0.3528
0.8141 0.9401 0.3528
0.1168 0.7500 0.4291
0.3832 0.2500 0.9291
0.6168 0.7500 0.0709
0.8832 0.2500 0.5709
```

Most intense lines, 10 to 90 degrees two-theta, in order of rising 2θ:
| d (Å) | Rel. int. |
| --- | --- |
| 2.342 | 655 |
| 2.233 | 259 |
| 2.114 | 654 |
| 2.040 | 962 |
| 2.008 | 878 |
| 1.957 | 1000 |
| 1.920 | 699 |
| 1.847 | 483 |
| 1.831 | 515 |
| 1.713 | 408 |
| 1.611 | 354 |
| 1.153 | 402 |

---

This entry pairs a crystal structure of FeCoB2 with its simulated X-ray powder pattern. Radiation: Cu Kα. Structure: a structure optimized by DFT (GGA-PBE).
Intensities are scaled so that the largest is 1000.

```
FeCoB2
1.0
3.0097 0.0000 0.0000
0.0000 3.9594 0.0000
0.0000 0.0000 5.2801
Fe Co B
2 2 4
Direct
0.0000 0.1224 0.0000
0.0000 0.8776 0.5000
0.5000 0.3717 0.3557
0.5000 0.6283 0.8557
0.0000 0.3764 0.6428
0.0000 0.6236 0.1428
0.5000 0.1346 0.7122
0.5000 0.8654 0.2122
```

Most intense lines, 10 to 90 degrees two-theta, in order of rising 2θ:
| d (Å) | Rel. int. |
| --- | --- |
| 2.640 | 285 |
| 2.396 | 664 |
| 2.197 | 360 |
| 2.182 | 1000 |
| 1.985 | 678 |
| 1.854 | 654 |
| 1.774 | 338 |
| 1.608 | 268 |
| 1.578 | 262 |
| 1.505 | 226 |
| 1.205 | 255 |
| 1.168 | 252 |

---

This entry pairs a crystal structure of Fe4CoB2P with its simulated X-ray powder pattern. Radiation: Cu Kα. Structure: a structure optimized by DFT (GGA-PBE).
Intensities are scaled so that the largest is 1000.

```
Fe4CoB2P
1.0
-2.6758 2.6758 5.2321
2.6758 -2.6758 5.2321
2.6758 2.6758 -5.2321
Fe Co B P
8 2 4 2
Direct
0.0285 0.5285 0.8377
0.1908 0.0285 0.5000
0.3092 0.8092 0.8377
0.4715 0.3092 0.5000
0.5285 0.6908 0.5000
0.6908 0.1908 0.1623
0.8092 0.9715 0.5000
0.9715 0.4715 0.1623
0.0000 0.0000 0.0000
0.5000 0.5000 0.0000
0.1213 0.3787 0.5000
0.3787 0.8787 0.2575
0.6213 0.1213 0.7425
0.8787 0.6213 0.5000
0.2500 0.2500 0.0000
0.7500 0.7500 0.0000
```

Most intense lines, 10 to 90 degrees two-theta, in order of rising 2θ:
| d (Å) | Rel. int. |
| --- | --- |
| 2.616 | 134 |
| 2.382 | 107 |
| 2.333 | 644 |
| 2.152 | 458 |
| 1.973 | 1000 |
| 1.892 | 198 |
| 1.871 | 666 |
| 1.692 | 501 |
| 1.288 | 111 |
| 1.268 | 206 |
| 1.216 | 169 |
| 1.136 | 248 |

---

This entry pairs a crystal structure of Fe4CoSiB2 with its simulated X-ray powder pattern. Radiation: Cu Kα. Structure: a structure optimized by DFT (GGA-PBE).